Record 1
Computed, not measured: C11H10F9MoNO as an isolated structure, with wB97M-V/def2-TZVPD.

Computed properties:
Strongest force on any atom: 6.98 eV/Å
Energy above the lowest of the compared OMol25 structures with the same formula, charge and spin: 9.4 kcal per mole
Expectation value of S²: 2.12
Gap between HOMO and LUMO (spin up / spin down): 6.98 / 7.61 eV
Multiplicity: 3
E: -41414.819 eV

Structure (XYZ):
```
33
Properties=species:S:1:pos:R:3:lowdin_charge:R:1
C -1.7548 2.0128 -2.4697 -0.164
C -2.2294 1.3454 -1.3006 -0.252
C -1.4131 0.1733 -1.0996 -0.232
C -0.4227 0.1411 -2.1235 -0.139
C -0.6547 1.2588 -2.9898 -0.150
Mo -0.1588 1.9935 -0.8171 1.439
N 1.1693 2.7447 -1.9585 -0.254
C -1.8332 1.1480 1.6225 -0.129
C -2.9654 0.4698 1.9846 -0.029
H -1.5605 -0.5691 -0.3270 0.102
H -3.0846 1.6181 -0.6935 0.104
H 0.3437 -0.6153 -2.2339 0.110
H -0.1308 1.4405 -3.9196 0.121
H -2.1880 2.9099 -2.9024 0.117
H -3.9577 0.9298 1.9971 0.054
H -0.8699 0.6323 1.7238 0.034
H 2.0193 3.2420 -2.2975 -0.028
H -2.8998 -0.5790 2.2887 0.059
H -1.8162 2.2309 1.4778 0.043
F 2.2708 -1.6272 -1.4269 0.118
C 2.7222 -1.4617 -0.1527 -0.481
F 3.4664 -2.5556 0.1669 0.134
F 3.5377 -0.3796 -0.1574 0.140
C 1.4885 -1.2354 0.8584 -0.360
O 0.7731 -0.2216 0.4755 -0.191
C 0.5766 -2.5716 0.8847 -0.477
F 1.2423 -3.6468 1.3861 0.137
F -0.5348 -2.3737 1.6402 0.128
F 0.1509 -2.8855 -0.3683 0.132
C 2.0561 -0.9614 2.3442 -0.486
F 2.8991 -1.9468 2.7680 0.129
F 2.7265 0.2138 2.3859 0.138
F 1.0319 -0.8744 3.2336 0.133
```


Record 2
Computed, not measured: C11H10N5OPdSSe2Te2 as an isolated structure, with wB97M-V/def2-TZVPD.

Computed properties:
Strongest force on any atom: 2.15 eV/Å
Charge: -1
Energy above the lowest of the compared OMol25 structures with the same formula, charge and spin: 61.6 kcal per mole
Gap between HOMO and LUMO (spin up / spin down): 4.89 / 4.91 eV
E: -180663.922 eV

Structure (XYZ):
```
33
Properties=species:S:1:pos:R:3:lowdin_charge:R:1
Pd 0.2217 -0.8018 0.5349 -0.017
Se 2.0394 2.4121 -1.0174 -0.154
Te -0.0571 1.2101 -0.9780 0.485
Te -1.0204 1.2015 1.5901 0.352
Se -1.1606 -1.0569 2.6670 0.007
N 2.0212 -1.8762 -1.5572 0.054
C 2.0152 -1.5702 -0.2144 -1.009
S 1.4820 -2.7927 0.8566 0.645
N 2.9364 -0.6014 0.1121 -0.019
C 3.3964 -0.1774 1.3640 -0.278
C 2.5836 -0.0802 2.4899 -0.077
C 3.1053 0.3784 3.6859 -0.078
C 4.4376 0.7372 3.7777 -0.111
C 5.2483 0.6460 2.6577 -0.103
C 4.7311 0.2166 1.4537 -0.035
H 1.3835 -2.6097 -1.8422 0.057
H 2.1142 -1.1126 -2.2175 0.083
H 3.4804 -0.2517 -0.6706 0.104
H 1.5345 -0.3945 2.4792 -0.017
H 2.4574 0.4525 4.5470 0.105
H 4.8432 1.0762 4.7198 0.091
H 6.2937 0.9081 2.7277 0.095
H 5.3581 0.1725 0.5749 0.108
N -2.1173 -3.1803 0.1624 0.141
C -1.8208 -2.1100 -0.6318 -0.615
O -2.1977 -0.9562 -0.3332 -0.210
C -1.1500 -2.4197 -1.8815 -0.262
C -0.7985 -1.3531 -2.6746 -0.320
N -0.4616 -0.3586 -3.1796 0.014
C -0.9300 -3.7261 -2.3024 -0.284
N -0.7490 -4.8093 -2.6568 0.121
H -1.6216 -4.0449 0.0014 0.085
H -2.3991 -2.9822 1.1167 0.039
```


Record 3
Computed, not measured: C11H11Br3N2 as an isolated structure, with wB97M-V/def2-TZVPD.

Computed properties:
Strongest force on any atom: 3.50 eV/Å
Energy above the lowest of the compared OMol25 structures with the same formula, charge and spin: 9.4 kcal per mole
Gap between HOMO and LUMO: 8.77 eV
E: -224691.266 eV

Structure (XYZ):
```
27
Properties=species:S:1:pos:R:3:lowdin_charge:R:1
N -1.5318 2.7519 -1.1523 0.066
C -0.6125 3.6424 -1.4442 -0.221
C 0.6215 3.7119 -0.8965 -0.074
C 1.0047 2.7590 0.1173 -0.096
C 0.0639 1.8210 0.5555 -0.100
C -1.1748 1.8402 -0.1602 -0.101
H -0.7656 4.2906 -2.2943 0.102
H 1.2677 4.5128 -1.2240 0.098
H 1.9113 2.8399 0.6988 0.092
H 0.1892 1.0910 1.3415 0.068
H -1.9142 1.1030 0.1158 0.068
N -1.0131 -1.2998 0.3804 0.054
C -0.2366 -2.3371 -0.0689 -0.167
C -0.4401 -3.6415 0.3555 -0.073
C -1.5360 -3.9506 1.1735 -0.069
C -2.3443 -2.8957 1.6363 -0.071
C -2.0242 -1.5582 1.2893 -0.112
H 0.6742 -2.0568 -0.5771 0.030
H 0.3121 -4.3650 0.0775 0.101
Now count the lines further up that contain the word "Gap" and give the number alone.
3